Could you reproduce everything further down word for word?
=====
Simulated X-ray diffraction stick pattern
Compound: BaYMnCoO5
Radiation: λ = 1.5418 Å (Cu Kα)
Structure: a structure optimized by DFT (GGA+U)
Lines closer than 0.1° are merged.

Largest 10 diffraction maxima, sorted by position, 2θ from 5° to 70°:
2theta, I (rel.), (hkl)
31.91, 42, 0 2 -1
32.07, 92, -1 1 2
32.14, 50, 1 -1 2
32.45, 100, 1 1 1
45.36, 32, 2 -2 0
46.31, 30, 2 2 -2
46.78, 19, 0 0 4
56.80, 19, -1 3 1
56.94, 19, 3 -1 1
57.80, 32, 2 0 3

Cell and atoms:
```
BaYMnCoO5
1.0
5.591 0.000 0.000
-0.110 5.609 0.000
-2.737 -2.793 7.768
Ba Y Mn Co O
2 2 2 2 10
direct
0.000 0.000 0.000
0.499 0.504 0.001
0.246 0.250 0.490
0.744 0.749 0.489
0.365 0.870 0.731
0.861 0.365 0.723
0.122 0.626 0.248
0.628 0.131 0.254
0.072 0.592 0.664
0.097 0.110 0.686
0.408 0.932 0.302
0.409 0.428 0.316
0.502 0.006 0.002
0.589 0.584 0.686
0.590 0.080 0.662
0.895 0.383 0.305
0.906 0.899 0.315
0.995 0.499 0.992
```


# 1
Diffraction record for Pr5Y3Tm4. The powder X-ray diffraction pattern is calculated, not measured: it uses a crystal structure in Alexandria, relaxed with PBE and copper Kα.
Neutral-atom scattering factors, no anomalous dispersion.

Structural model:
```
data_Pr5Y3Tm4
_cell_length_a 12.494
_cell_length_b 5.710
_cell_length_c 11.547
_cell_angle_alpha 90.00
_cell_angle_beta 99.33
_cell_angle_gamma 90.00
_space_group_name_H-M_alt 'C 1 2/m 1'
_space_group_IT_number 12
_space_group_name_Hall '-C 2y'
loop_
_atom_site_label
_atom_site_fract_x
_atom_site_fract_y
_atom_site_fract_z
Pr1 0.000 0.000 0.000
Pr2 0.123 0.500 0.602
Pr3 0.161 0.500 0.275
Y1 0.000 0.500 0.000
Y2 0.072 0.000 0.766
Tm1 0.128 0.000 0.467
Tm2 0.243 0.500 0.899
```

Main lines, sorted by position (2θ from 10° to 90°):
(1 1 -3), 2θ = 28.17°, d = 3.168 Å, I = 20; (4 0 -1), 2θ = 28.75°, d = 3.105 Å, I = 12; (3 1 -2), 2θ = 29.19°, d = 3.059 Å, I = 55; (1 1 3), 2θ = 30.11°, d = 2.968 Å, I = 72; (0 2 0), 2θ = 31.31°, d = 2.857 Å, I = 100; (3 1 -3), 2θ = 33.34°, d = 2.688 Å, I = 14; (2 0 -5), 2θ = 39.89°, d = 2.260 Å, I = 14; (4 2 1), 2θ = 44.86°, d = 2.020 Å, I = 34; (3 3 -2), 2θ = 54.44°, d = 1.685 Å, I = 14; (1 3 3), 2θ = 55.01°, d = 1.669 Å, I = 13

# 2
Diffraction record for La4Pr3Nd5. The powder X-ray diffraction pattern is calculated, not measured: it uses a crystal structure in Alexandria, relaxed with PBE and copper Kα.
Neutral-atom scattering factors, no anomalous dispersion.

Structural model:
```
data_La4Pr3Nd5
_cell_length_a 6.434
_cell_length_b 7.399
_cell_length_c 9.106
_cell_angle_alpha 90.27
_cell_angle_beta 90.07
_cell_angle_gamma 90.09
_space_group_name_H-M_alt 'P -1'
_space_group_IT_number 2
_space_group_name_Hall '-P 1'
loop_
_atom_site_label
_atom_site_fract_x
_atom_site_fract_y
_atom_site_fract_z
La1 0.167 0.000 0.167
La2 0.333 0.251 0.832
Pr1 0.333 0.750 0.833
Pr2 0.500 0.500 0.500
Nd1 0.001 0.749 0.500
Nd2 0.166 0.500 0.168
Nd3 0.500 0.000 0.500
```

Main lines, sorted by position (2θ from 10° to 90°):
(2 0 1), 2θ = 29.46°, d = 3.032 Å, I = 100; (-1 2 1), 2θ = 29.54°, d = 3.023 Å, I = 33; (2 0 -2), 2θ = 34.12°, d = 2.628 Å, I = 45; (1 2 2), 2θ = 34.29°, d = 2.615 Å, I = 22; (2 0 4), 2θ = 49.03°, d = 1.858 Å, I = 24; (3 2 0), 2θ = 49.14°, d = 1.854 Å, I = 16; (4 0 -1), 2θ = 58.20°, d = 1.585 Å, I = 24; (0 4 -3), 2θ = 58.29°, d = 1.583 Å, I = 10; (3 2 3), 2θ = 58.39°, d = 1.580 Å, I = 14; (2 4 1), 2θ = 58.55°, d = 1.577 Å, I = 10


Theoretical X-ray diffraction stick pattern of Na5V2PC4O16 for Cu Kα (weighted mean of Kα1 and Kα2), from the GGA+U geometry in Alexandria.
Neutral-atom scattering factors, no anomalous dispersion.

Main lines, sorted by position (2θ from 10° to 90°):
Position (°2θ), I_rel
10.87, 72
17.69, 50
20.56, 56
21.05, 89
32.35, 53
33.00, 33
33.32, 100
35.82, 47
46.44, 28
55.85, 22
56.51, 25
56.64, 21

Atomic structure:
abc: 10.0325 10.0317 9.8676
angles: 60.54 60.54 58.92
Sites, in units of the cell vectors:
Na (0.0000, 0.0000, 0.0000)
Na (0.2500, 0.2500, 0.2500)
Na (0.2638, 0.8371, 0.6406)
Na (0.2663, 0.8352, 0.2592)
=====
Simulated X-ray diffraction stick pattern
Compound: BaYMnCoO5
Radiation: λ = 1.5418 Å (Cu Kα)
Structure: a structure optimized by DFT (GGA+U)
Lines closer than 0.1° are merged.

Largest 10 diffraction maxima, sorted by position, 2θ from 5° to 70°:
2theta, I (rel.), (hkl)
31.91, 42, 0 2 -1
32.07, 92, -1 1 2
32.14, 50, 1 -1 2
32.45, 100, 1 1 1
45.36, 32, 2 -2 0
46.31, 30, 2 2 -2
46.78, 19, 0 0 4
56.80, 19, -1 3 1
56.94, 19, 3 -1 1
57.80, 32, 2 0 3

Cell and atoms:
```
BaYMnCoO5
1.0
5.591 0.000 0.000
-0.110 5.609 0.000
-2.737 -2.793 7.768
Ba Y Mn Co O
2 2 2 2 10
direct
0.000 0.000 0.000
0.499 0.504 0.001
0.246 0.250 0.490
0.744 0.749 0.489
0.365 0.870 0.731
0.861 0.365 0.723
0.122 0.626 0.248
0.628 0.131 0.254
0.072 0.592 0.664
0.097 0.110 0.686
0.408 0.932 0.302
0.409 0.428 0.316
0.502 0.006 0.002
0.589 0.584 0.686
0.590 0.080 0.662
0.895 0.383 0.305
0.906 0.899 0.315
0.995 0.499 0.992
```


# 1
Diffraction record for Pr5Y3Tm4. The powder X-ray diffraction pattern is calculated, not measured: it uses a crystal structure in Alexandria, relaxed with PBE and copper Kα.
Neutral-atom scattering factors, no anomalous dispersion.

Structural model:
```
data_Pr5Y3Tm4
_cell_length_a 12.494
_cell_length_b 5.710
_cell_length_c 11.547
_cell_angle_alpha 90.00
_cell_angle_beta 99.33
_cell_angle_gamma 90.00
_space_group_name_H-M_alt 'C 1 2/m 1'
_space_group_IT_number 12
_space_group_name_Hall '-C 2y'
loop_
_atom_site_label
_atom_site_fract_x
_atom_site_fract_y
_atom_site_fract_z
Pr1 0.000 0.000 0.000
Pr2 0.123 0.500 0.602
Pr3 0.161 0.500 0.275
Y1 0.000 0.500 0.000
Y2 0.072 0.000 0.766
Tm1 0.128 0.000 0.467
Tm2 0.243 0.500 0.899
```

Main lines, sorted by position (2θ from 10° to 90°):
(1 1 -3), 2θ = 28.17°, d = 3.168 Å, I = 20; (4 0 -1), 2θ = 28.75°, d = 3.105 Å, I = 12; (3 1 -2), 2θ = 29.19°, d = 3.059 Å, I = 55; (1 1 3), 2θ = 30.11°, d = 2.968 Å, I = 72; (0 2 0), 2θ = 31.31°, d = 2.857 Å, I = 100; (3 1 -3), 2θ = 33.34°, d = 2.688 Å, I = 14; (2 0 -5), 2θ = 39.89°, d = 2.260 Å, I = 14; (4 2 1), 2θ = 44.86°, d = 2.020 Å, I = 34; (3 3 -2), 2θ = 54.44°, d = 1.685 Å, I = 14; (1 3 3), 2θ = 55.01°, d = 1.669 Å, I = 13

# 2
Diffraction record for La4Pr3Nd5. The powder X-ray diffraction pattern is calculated, not measured: it uses a crystal structure in Alexandria, relaxed with PBE and copper Kα.
Neutral-atom scattering factors, no anomalous dispersion.

Structural model:
```
data_La4Pr3Nd5
_cell_length_a 6.434
_cell_length_b 7.399
_cell_length_c 9.106
_cell_angle_alpha 90.27
_cell_angle_beta 90.07
_cell_angle_gamma 90.09
_space_group_name_H-M_alt 'P -1'
_space_group_IT_number 2
_space_group_name_Hall '-P 1'
loop_
_atom_site_label
_atom_site_fract_x
_atom_site_fract_y
_atom_site_fract_z
La1 0.167 0.000 0.167
La2 0.333 0.251 0.832
Pr1 0.333 0.750 0.833
Pr2 0.500 0.500 0.500
Nd1 0.001 0.749 0.500
Nd2 0.166 0.500 0.168
Nd3 0.500 0.000 0.500
```

Main lines, sorted by position (2θ from 10° to 90°):
(2 0 1), 2θ = 29.46°, d = 3.032 Å, I = 100; (-1 2 1), 2θ = 29.54°, d = 3.023 Å, I = 33; (2 0 -2), 2θ = 34.12°, d = 2.628 Å, I = 45; (1 2 2), 2θ = 34.29°, d = 2.615 Å, I = 22; (2 0 4), 2θ = 49.03°, d = 1.858 Å, I = 24; (3 2 0), 2θ = 49.14°, d = 1.854 Å, I = 16; (4 0 -1), 2θ = 58.20°, d = 1.585 Å, I = 24; (0 4 -3), 2θ = 58.29°, d = 1.583 Å, I = 10; (3 2 3), 2θ = 58.39°, d = 1.580 Å, I = 14; (2 4 1), 2θ = 58.55°, d = 1.577 Å, I = 10


Theoretical X-ray diffraction stick pattern of Na5V2PC4O16 for Cu Kα (weighted mean of Kα1 and Kα2), from the GGA+U geometry in Alexandria.
Neutral-atom scattering factors, no anomalous dispersion.

Main lines, sorted by position (2θ from 10° to 90°):
Position (°2θ), I_rel
10.87, 72
17.69, 50
20.56, 56
21.05, 89
32.35, 53
33.00, 33
33.32, 100
35.82, 47
46.44, 28
55.85, 22
56.51, 25
56.64, 21

Atomic structure:
abc: 10.0325 10.0317 9.8676
angles: 60.54 60.54 58.92
Sites, in units of the cell vectors:
Na (0.0000, 0.0000, 0.0000)
Na (0.2500, 0.2500, 0.2500)
Na (0.2638, 0.8371, 0.6406)
Na (0.2663, 0.8352, 0.2592)